Fitchburg State University


Board of Trustees Meeting

Special Board of Trustees Meeting

Date and Time

Thursday November 9, 2023 at 3:30 PM


Presidents' Hall, Mazzaferro Center, 291 Highland Ave., Fitchburg, MA 01420

Notice of a special meeting of the Fitchburg State University Board of Trustees on Thursday, November 9, 2023 at 3:30 p.m. 


The meeting will take place in Presidents' Hall, Mazzaferro Center, 291 Highland Ave., Fitchburg, MA 01420


Trustees Present

A. Turner, C. Stimpson (remote), D. Phillips, D. Tiernan (remote), E. Gregoire, J. Flanagan, K. Spinelli, L. Barrieau, M. Fiorentino, Jr. (remote)

Trustees Absent

S. King-Goodwin

Ex Officio Members Present

R. Lapidus

Non Voting Members Present

R. Lapidus

Guests Present

D. Bellinger-Delfeld, F. Barricelli, G. Doiron, J. Bry, J. Murdoch, J. Wolfman, L. Bayless, L. LeBlanc, M. Bruun, M. Hoey, M. McKenzie, P. Marshall, P. Marshall, P. McCafferty, P. Weizer, R. Diakite, R. Toomey, S. Dodd, S. Goodlett, S. Levine

I. Opening Items


Record Attendance and Guests


Call the Meeting to Order

D. Phillips called a meeting of the board of trustees of Fitchburg State University to order on Thursday Nov 9, 2023 at 3:31 PM.

II. Composition of the Presidential Search Committee


Discussion and VOTE (21- 23/24)

D. Phillips read a prepared statement:

As you know, appointing the university’s president is the most significant responsibility of a board of trustees. As you also know, we do not need to create a process to accomplish this out of whole cloth. In the Commonwealth, the search process for a state university president is guided by the Board of Higher Ed. I’ve reviewed the Guidelines and I know many of you have as well.


I’ve also sought advice from other board chairs whose boards have conducted a presidential search. Those include board chairs from our own past boards, and those at other universities. I also sought input from BHE and our own university counsel. I learned that the BHE guidelines on the appointment process are intended to give local board chairs flexibility in crafting a list of appointees. I also learned that past practice here and at other institutions has been for the board chair to review the nominations from the employee organizations, non-unit self-nominations, the trustees willing to serve, etc., and after consulting with any other appropriate stakeholders, present a slate to the full board for its consideration. I was advised to keep the committee as small as possible within the Guidelines while still establishing a well-rounded committee. BHE counsel and other chairs also informed me that its customers for the board chair to provide the full board with a suggested ‘charge’ to be discussed, basically instructing the committee on any authority we are delegating to it and outlining our expectations.


I spent a great deal of time considering the composition of the search committee I’m recommending to you. I took into account the BHE’s minimum membership requirements - 1 member from each employee organization, 1 student, 3 trustees, etc. This process included a review of union affiliations, positions held at FSU, and years of service. I carefully reviewed not only the information provided by each person nominated, but peer and union recommendations. I seriously considered the makeup of the committee as a whole - it will act as a body, and I think its members should complement each other and challenge each other. I aimed to achieve a well-rounded group for your consideration, including not only traditional affirmative action/diversity guidelines, but looking at the unique or specific experiences and contributions each person could bring to the table.


You’ve been provided with the list of those people I believe can most effectively assist us in conducting a search for a new president.


L. Barrieau read a prepared statement:


  • I would like to go on the record as stating that I am personally offended and quite frankly shocked at the way the selection for the search committee has been conducted. You have made it clear that our by laws allow you to proceed as you did but I would ask ...should you have?
  • The selection process appeared to be driven by the board chair and a small, non­ representative group, rather than an inclusive decision-making approach.
  • Who made these decisions, was it solely you and if not who else was a part of the selection process? Your term on the board ends on March 1,2024, therefore it does not seem appropriate that you have created and placed yourself on a search committee for a president that you will never be working with.
  • No documentation was made available to track the selection process, creating doubts about fairness and integrity.
  • The process did not appear to involve a competitive selection approach or consideration of multiple candidates for each position. Why do we only have one faculty member and one student when they are the lifeblood of the university.
  • There was a lack of oversight by the BOT to ensure the process's fairness.
  • The criteria used for evaluating potential committee members were not transparent, leaving room for bias or favoritism.
  • Why were trustees not allowed to vote on which members were best suited for the committee?
  • I think we can all agree that choosing our university’s president is one of the most important tasks and shouldn’t all of our collective community voices be heard.

D. Phillips responded that she was sorry L. Barrieau felt that way.


A. Turner also expressed concerns about not being able to see the recommendations.


M. Fiorentino stated that some good points were made and there was a flaw in this process. He thought the Board should meet to discuss the composition of the committee. The Chair certainly has the right to put the committee slate together, but it would have been helpful if there was openness. If there was a preference for certain individuals, what were the criteria that the Chair mentioned? He said he didn’t think the Board had the opportunity to weigh in on the Presidential Search Committee composition.


E. Gregoire stated that he was a little bit confused, and feels there has been a missed step in the search committee process. He was under the impression that the composition and discussion about the committee would be discussed at today’s meeting.


The proposed Presidential Search Committee was distributed by the Chair of the Board the evening before the meeting without discussion.


D. Phillips reiterated that she was sorry that some Board members were offended.


E. Gregoire noted that technically, according to the by-laws, the Chair has a right to form committees within the Trustees. The Presidential Search Committee is different.


There was a discussion.

### Materials data from another source follow
=====
The following is a DFT calculation (GGA-PBE) of MgCuHg2I after structural relaxation.

Total DFT energy (no corrections) in eV per atom: -1.43
M_tot in μB/f.u.: 0.00
Formation energy without anion corrections in meV per atom: 141

Unit cell a=5.2451 b=5.2451 c=5.4911 alpha=90.00 beta=90.00 gamma=90.00
With the nearest neighbours (Å) after each atom.
Fractional coordinates of all 5 atoms:
Mg 0.0000 0.0000 0.0000  4 I 3.71, 8 Hg 3.80
Cu 0.5000 0.5000 0.5000  4 Hg 2.62, 2 I 2.75
Hg 0.0000 0.5000 0.5000  2 Cu 2.62
Hg 0.5000 0.0000 0.5000  2 Cu 2.62
I 0.5000 0.5000 0.0000  2 Cu 2.75

~~~~~

The following is a DFT calculation (GGA+U) of NbMoAu2F after structural relaxation.

uncorrected energy	-4.416	eV/atom
total moment	0.25	μB/f.u.
space-group type	No. 123

a = 4.734 Å, b = 3.932 Å, c = 4.734 Å
α = 90.00°, β = 90.00°, γ = 90.00°
Positions (direct):
Mo 0.000 0.500 0.000
Au 0.000 0.000 0.500
Au 0.500 0.000 0.000
Nb 0.500 0.500 0.500
F 0.000 0.000 0.000
=====


E. Gregoire stated that he was conflicted about how decisions were made in the formation of the committee presented, in the spirit of collaboration in both composition and as well as the actual individuals appointed, and those that expressed interest. How does it align with what the Board wants as a whole? In the absence of this conversation, the Board is not doing due diligence. The Presidential Search Committee is the screening committee to narrow down presidential candidates. We have the responsibility to shepherd this process forward. This is not something that comes up every year and it’s important that we do it deliberately and respectfully.


D. Phillips stated that she proposed the minimum size committee within the BHE Guidelines.


K. Spinelli stated that it was not the selection of the committee, but the Board did not have the opportunity to look at the nominations and provide input.


There was a discussion about the selection process, the criteria used for selection and the Chair’s authority in this process.


M. Fiorentino stated that at the beginning of any presidential search, the committee selection is an essential step in ensuring everything goes smoothly. Communication is so important. He noted that he did not believe that the academic side of the house was properly represented on the committee and was concerned about the criteria when the selections were made. He said the Board was not fully informed. Should we start over? D. Phillips again stated that she was sorry that some Board members felt this way. She stated she did a deep dive. She asked for a solution.


L. Barrieau stated that the vote should be tabled.


M. Fiorentino said let’s have a meeting and then go forward with bringing a slate of candidates to the full Board.


L. Barrieau made a motion to remove the Presidential Search Committee selection vote presented.
M. Fiorentino, Jr. seconded the motion.
The board VOTED to approve the motion.
Roll Call
A. Turner
K. Spinelli
D. Phillips
L. Barrieau
M. Fiorentino, Jr.
D. Tiernan
J. Flanagan
S. King-Goodwin
E. Gregoire
C. Stimpson

III. Charge to the Presidential Search Committee


Discussion and VOTE (22-23/24)

E. Gregoire stated he was concerned about the evaluation process and how the decisions were made on the committee composition. He expected that would be the conversation that would take place at today’s meeting.


A. Turner asked where the student nominations originated and who were the other nominations?


Phillips responded that the student nomination came from Dr. Laura Bayless, Vice President for Student Affairs. L. Barrieau said did the students not have the same criteria as the others? D. Phillips said they would have liked to have A. Turner, but she is graduating. L. Barrieau said that doesn’t make sense because the Chair’s term expires on March 1, 2024 and she is not eligible for reappointment and Dave Tiernan had not been reappointed.


 G. Doiron presented a list of Board members listing their terms of office and stated that we receive notice when a new trustee is appointed, and we don’t know when the notices will come.


 D. Phillips noted that the appointment process had been slow and that trustees serve until their seat is filled by a new Trustee. To answer Lynn’s question, student trustee’s terms end when they are no longer a student. 


E. Gregoire stated that the composition of the committee should include the size - 9-13, and said if there is the ability to increase the committee membership, it is very important to have more than the two minimum number of faculty members. He stated that they are deeply involved with curriculum, student involvement and strategic planning and that their representation should be increased. He stated t an additional student would be helpful. That is why we are here, to support the students.


M. Fiorentino shared E. Gregoire’s concerns and to keep the committee at a manageable number, and at this time, it was extremely important to add one or two additional faculty members and another student.


L. Barrieau agreed with Mike and suggested adding another faculty member and eliminating the school superintendent. She pointed out that the individual in that role currently is only interim, anyway. 


Members discussed the inclusion or exclusion of a city community member.  D Phillips stated that it is important to have one, and the superintendent of the Fitchburg Public Schools is a key individual in the community, and university has a strong relationship with the local schools. The individual who is the interim has been in the system for over a decade, was the deputy superintendent here and has a background in elementary education as well as administration.  


There was a discussion about a community member serving on the committee.

K. Spinelli made a motion to have two faculty members and two students on the Presidential Search Committee.
D. Tiernan seconded the motion.
The board VOTED to approve the motion.
Roll Call
M. Fiorentino, Jr.
D. Tiernan
J. Flanagan
S. King-Goodwin
C. Stimpson
E. Gregoire
A. Turner
D. Phillips
L. Barrieau
K. Spinelli

There was a discussion on the submission process for candidates to serve on the Presidential Search Committee. The Board discussed how the Chair reviewed the nominations. There was discussion the board seeing all of the nominations


M. Fiorentino said it is important that committee members have university history, what roles they serve on campus, leadership experience and do they have the time to serve on the committee. He did note that it is also important to have newer staff representation.


There was another vigorous conversation about the decision-making process, and the Chair’s authority. The submission process for candidates was to send an email of interest to Ms. Jessica Murdoch, Vice President for Human Resources and Payroll Services and to Chair Phillips.

Next to the piece, the page also holds records of crystals:
~~~
(1)
This record from Alexandria via LeMat-Bulk describes an optimized crystal structure of AcYEr2S6. The functional is PBE.

a b c (Å): 7.388 7.388 7.388
angles (deg): 56.99 56.99 56.99
Atoms (fractional coordinates):
Ac1 0.000 0.000 0.000
Y1 0.485 0.485 0.485
Er1 0.282 0.282 0.282
Er2 0.789 0.789 0.789
S1 0.072 0.642 0.432
S2 0.181 0.569 0.892
S3 0.432 0.072 0.642
S4 0.569 0.892 0.181
S5 0.642 0.432 0.072
S6 0.892 0.181 0.569

Calculated values
E   -6.53 eV per atom
Symmetry   R3 (146)
Energy relative to the elements, uncorrected   -2.079 eV per atom

***

(2)
This record from Alexandria via LeMat-Bulk describes an optimized crystal structure of BaLiRu3. The functional is PBE.

a b c (Å): 5.101 5.101 5.101
angles (deg): 90.00 90.00 90.00
Atoms (fractional coordinates):
Ba1 0.000 0.000 0.000
Li1 0.500 0.500 0.500
Ru1 0.000 0.000 0.500
Ru2 0.000 0.500 0.000
Ru3 0.500 0.000 0.000

Calculated values
E   -3.94 eV per atom
Symmetry   Pm-3m (221)
Calculated formation energy   2.388 eV per atom
Distance to the lowest polymorph of the same formula   551 kJ/mol of formula units
~~~


Member stated that the Chair reviewed the nominations and made the selections to the committee without board consultation. D. Phillips stated that she followed the BHE process and their advice 


E. Gregoire indicated the reason that he was confused was not having the conversation and the criteria discussion about the composition. Our role is to vet the search committee and include our insight. The process and communication matters in a public way and transparency is crucially important. He had an issue with the sequence of how the committee was formed.


There was discussion about the Board reviewing the list of nominees.


D.  Phillips stated she had asked the BHE about that and was told the chairs selected the individuals within the criteria. She offered to seek BHE approval to have the full board review the list. It would have to be redacted since some nominees included private information. 


L.  Barrieau said the members of the committee is not the issue, it has to do with the fact that none of the other steps were passed by the Board.


K. Spinelli asked is it the Board’s will to have the Chair go back and add to the list and present a new slate in the future?


D. Phillips responded that she was not inclined to change the people that were chosen, but would add to the list.


There was a discussion.

K. Spinelli made a motion to have the Chair go back and make modifications to the committee and present a slate of 13 members to serve on the Presidential Search Committee.
E. Gregoire seconded the motion.
The board VOTED to approve the motion.
Roll Call
L. Barrieau
M. Fiorentino, Jr.
E. Gregoire
D. Tiernan
K. Spinelli
D. Phillips
C. Stimpson
S. King-Goodwin
A. Turner
J. Flanagan

D. Phillips reported that the proposed Charge to the search committee was provided to the Board. 


There was a discussion.


D. Phillips talked about the search firm selection that would take place at the next Board meeting on Nov. 14. There was a discussion about search firms in general.

M. Fiorentino, Jr. made a motion to approve the Charge to the Presidential Search Committee.
K. Spinelli seconded the motion.
The board VOTED to approve the motion.
Roll Call
J. Flanagan
A. Turner
C. Stimpson
M. Fiorentino, Jr.
S. King-Goodwin
K. Spinelli
D. Phillips
E. Gregoire
D. Tiernan
L. Barrieau

IV. Closing Items


Adjourn Meeting

There being no further business to be transacted, and upon motion duly made, seconded and approved, the meeting was adjourned at 4:39 PM.

Respectfully Submitted,
D. Tiernan